[Exercise]
Search the calculation results further down for the word "charge" and echo each line that has it.

[File]
(1)
Entry from the OMol25 dataset: 14 unconnected molecules or ions with the total composition C30H89NO27 (ωB97M-V with the def2-TZVPD basis set).

Last column: Löwdin charge in e.
CARTESIAN COORDINATES (ANGSTROEM)
C 7.466 -3.012 0.737  -0.073
C 6.159 -3.793 0.982  -0.428
C 5.096 -3.328 -0.045  -0.205
O 4.660 -2.021 0.184  -0.207
C 3.598 -1.465 -0.610  -0.071
N 6.591 -5.165 0.872  0.025
H 7.915 -3.140 -0.248  0.082
H 8.228 -3.271 1.473  0.070
H 7.326 -1.947 0.927  0.072
H 5.789 -3.578 1.985  0.135
H 4.173 -3.887 0.125  0.106
H 5.436 -3.427 -1.077  0.130
H 3.744 -0.420 -0.338  0.077
H 2.583 -1.696 -0.283  0.065
H 3.773 -1.570 -1.681  0.089
H 7.322 -5.438 1.515  0.074
H 5.808 -5.641 1.303  0.067
C 2.942 1.870 -2.768  -0.238
C 2.974 2.648 -1.408  -0.206
O 1.695 3.249 -1.214  -0.108
O 2.532 2.634 -3.866  -0.065
H 2.331 0.974 -2.653  0.105
H 3.982 1.728 -3.065  0.122
H 3.710 3.454 -1.407  0.113
H 3.198 2.002 -0.558  0.097
H 1.597 3.360 -0.264  0.011
H 1.568 2.669 -3.843  0.027
C -3.921 3.418 2.930  -0.175
C -2.482 3.957 2.727  -0.197
O -2.330 5.371 2.449  -0.081
O -4.630 3.364 1.690  -0.093
H -4.526 4.058 3.574  0.128
H -3.833 2.481 3.481  0.123
H -1.983 3.455 1.897  0.097
H -1.839 3.750 3.582  0.110
H -2.125 5.508 1.518  0.014
H -4.611 4.240 1.296  0.109
C -2.445 3.759 -1.296  -0.178
C -1.378 4.925 -1.254  -0.200
O -1.680 5.747 -0.170  -0.083
O -3.704 4.410 -1.512  -0.054
H -2.426 3.219 -0.348  0.085
H -2.194 2.974 -2.009  0.110
H -1.369 5.516 -2.170  0.125
H -0.362 4.547 -1.125  0.099
H -1.117 6.519 -0.264  0.116
H -3.710 5.120 -0.864  0.065
C -2.615 -0.692 -3.946  -0.193
C -3.362 -2.004 -3.652  -0.213
O -3.935 -1.834 -2.376  -0.086
O -1.266 -0.757 -3.424  -0.100
H -3.130 0.243 -3.727  0.118
H -2.458 -0.643 -5.025  0.108
H -2.805 -2.941 -3.606  0.108
H -4.227 -2.156 -4.298  0.120
H -3.298 -1.681 -1.673  0.041
H -1.331 -0.806 -2.465  0.028
C 1.889 -2.213 2.928  -0.222
C 1.774 -3.569 2.295  -0.218
O 0.430 -3.978 2.263  -0.076
O 1.600 -2.331 4.312  -0.063
H 1.141 -1.515 2.548  0.107
H 2.862 -1.734 2.810  0.132
H 2.337 -4.375 2.768  0.132
H 2.160 -3.439 1.282  0.099
H 0.254 -4.596 1.548  0.044
H 0.728 -2.736 4.264  0.078
C 1.373 0.902 5.523  -0.248
C 0.374 1.581 4.585  -0.180
O -0.311 0.529 3.860  -0.092
O 2.386 0.217 4.839  -0.054
H 0.830 0.282 6.237  0.127
H 1.819 1.691 6.129  0.118
H 0.834 2.232 3.842  0.105
H -0.336 2.093 5.236  0.114
H -0.720 0.894 3.070  0.075
H 2.009 -0.628 4.570  0.019
C -2.654 -1.906 3.331  -0.212
C -3.167 -3.370 3.411  -0.195
O -2.374 -4.278 2.643  -0.066
O -1.316 -1.959 3.751  -0.098
H -3.122 -1.138 3.947  0.122
H -2.653 -1.609 2.281  0.102
H -4.246 -3.441 3.271  0.117
H -3.089 -3.696 4.450  0.111
H -1.433 -4.105 2.748  0.043
H -0.904 -1.093 3.839  0.027
C 0.051 0.714 -0.287  -0.205
C -0.552 -0.680 -0.196  -0.193
O -1.895 -0.719 -0.683  -0.077
O -0.613 1.570 0.637  -0.063
H 0.010 1.104 -1.305  0.111
H 1.098 0.662 0.015  0.114
H -0.448 -1.077 0.816  0.110
H 0.029 -1.454 -0.699  0.108
H -2.417 -0.076 -0.196  0.071
H -0.096 2.379 0.585  0.043
C 2.232 5.878 1.176  -0.255
C 1.366 4.866 1.991  -0.187
O 1.557 3.535 1.595  -0.090
O 3.562 6.051 1.524  -0.032
H 1.811 6.884 1.199  0.121
H 2.143 5.692 0.103  0.112
H 0.297 5.066 1.912  0.104
H 1.597 4.970 3.052  0.128
H 2.302 3.119 2.036  0.112
H 4.045 5.259 1.275  0.089
C -0.835 2.586 -6.299  -0.211
C -1.102 2.760 -4.765  -0.212
O -0.116 2.141 -3.955  -0.083
O 0.507 2.992 -6.611  -0.061
H -1.577 3.187 -6.828  0.112
H -0.923 1.593 -6.739  0.116
H -2.140 2.507 -4.540  0.108
H -1.050 3.820 -4.514  0.117
H -0.156 1.197 -4.134  0.080
H 0.487 3.948 -6.515  0.084
C 1.451 -2.305 -3.976  -0.236
C 1.717 -3.810 -3.646  -0.189
O 2.025 -4.563 -4.847  -0.075
O 2.587 -1.717 -4.601  -0.076
H 1.209 -1.745 -3.072  0.088
H 0.671 -2.183 -4.728  0.114
H 0.964 -4.294 -3.025  0.099
H 2.675 -3.845 -3.126  0.105
H 2.925 -4.314 -5.068  0.076
H 2.246 -0.997 -5.137  0.084
C -6.042 0.330 2.115  -0.239
C -5.132 -0.039 0.927  -0.222
O -3.951 0.678 1.116  -0.083
O -6.675 1.542 1.795  -0.062

[Solution]
Last column: Löwdin charge in e.